Activity and days.

Review documents, secondary data including previous formative research and media analyses, and existing SBCC strategies and materials - 3 days
Assess SBCC methods and approaches currently used at Ipas/implementation of the shifting gears framework in Ipas programs, existing gaps through holding consultation sessions with Ipas staff, champions, community members, CSOs and other partners. Findings to inform final design of the strategy. 3 days
Analyze the assessment and prepare report - 1 day
Develop an SBCC Strategy in consultation with Alliance staff, partners, and other key stakeholders including program participants 10 days
Pretest and pilot materials developed with key stakeholders and target audience recording the feedback for incorporation into the final strategy - 5 days
Write Communication Plan outlining message themes and/or specific wording of messages, primary and secondary audiences, recommended communication channels and media, and roles and responsibilities for implementation. 1 days
Conduct an orientation training of trainers on the newly developed SBCC strategy to Ipas staff, champions, and community members 2 days
Write/Develop M & E Plan setting benchmarks for success of the SBCC strategy, for example message coverage, uptake of key behaviors and services, appropriate use of services and products. The strategy should recommend specific methodologies and tools that can be integrated into existing project M & E system and roles and responsibilities for implementing M & E for SBCC Strategy- 2 days
Write brief reports for each trip to the field outlining activities completed and stakeholders who participated in the process of development. 1 days
Write brief reports for each trip to the field outlining activities completed and stakeholders who participated in the process of development- 1 days.

Required Skills And Qualifications

Previous experience developing project/program-level SBCC Strategies
Theory driven approach to SBCC
Previous experience in the region
[Calculated molecules, kept here for reference]
+++
Record 1
{"formula": "C3H4O3V", "method": "ωB97M-V/def2-TZVPD", "homo_energy_ev": [-18.89, -18.90], "spin_multiplicity": 4, "max_force_ev_per_a": 3.75, "s2": 3.75, "total_charge": 2, "elements": ["H", "O", "V", "C", "H", "C", "C", "H", "O", "O", "H"], "coordinates": [[1.57381, 1.48234, -1.77870], [0.24877, -1.28578, 0.73537], [-0.84167, -2.84661, 1.69503], [-0.85323, -0.55000, 0.82796], [0.16670, 0.27094, -2.08670], [0.70543, 0.93764, -1.41061], [0.19850, 1.28955, -0.23450], [0.99675, -0.89173, 0.19577], [-1.82585, -1.12046, 1.32047], [-0.91690, 0.62989, 0.31362], [0.54768, 2.08422, 0.42228]], "forces_ev_per_angstrom": [[-0.2, -0.1, 0.0], [1.3, -0.5, 0.0], [-0.4, -0.1, 0.1], [-0.3, 3.0, -2.2], [0.3, -0.1, 0.2], [-0.6, 0.4, 0.2], [1.6, 0.2, -0.4], [-0.4, 0.0, 0.3], [-0.2, -1.2, 1.0], [-1.0, -1.4, 1.0], [-0.1, -0.2, -0.1]]}

Record 2
+++
[The calculated molecules stop here]
Previous experience with the technical content
Ability to use secondary data to conduct a specific contextual analysis and identify gaps that need to be filled in order to develop an SBC strategy.
Familiarity with and ability to adapt pre-testing and communication planning tools
Familiarity with and ability to adapt M & E tools and methodologies for gauging the effectiveness of SBC Strategies
Qualitative/participatory research and analysis skills. Past experience with using research data to target messages to different primary and secondary audiences through appropriate media and channels
Collaborative working style
Ability to produce deliverables in a results-oriented, time-sensitive environment
Misplaced molecular data =
____________
This record from OMol25 describes 2 unconnected molecules or ions with the total composition C6H10N2O5S in a non-equilibrium geometry. The level of theory is ωB97M-V/def2-TZVPD.

```
24
Properties=species:S:1:pos:R:3
O 3.9897 -3.7795 2.0472
C 3.4330 -3.4473 1.0877
N 2.8008 -3.1532 0.0722
N 2.1782 -1.8511 0.0673
S 3.2273 -0.4942 0.0195
C 1.1694 -1.7683 1.0850
O 1.3346 -1.3773 2.1848
O -0.0560 -2.1295 0.6331
H 4.1642 -0.7566 0.9696
H -0.0848 -3.0850 0.5447
C -3.0974 0.9098 -1.1819
C -1.7670 0.3288 -0.7481
O -0.6695 0.9864 -1.3859
C -0.1059 2.1121 -0.9115
C -0.8003 2.8808 0.1888
O 0.9057 2.5124 -1.4138
H -3.1926 1.9575 -0.8957
H -3.9204 0.3544 -0.7311
H -3.1938 0.8607 -2.2665
H -1.6426 0.3311 0.3352
H -1.7019 -0.7096 -1.0645
H -1.4275 3.6483 -0.2622
H -0.0399 3.3607 0.7996
H -1.4052 2.2644 0.8501
```

Results
energy above the lowest of the compared OMol25 structures with the same formula, charge and spin: 103.2 kJ/mol
frontier orbital gap: 9.81 eV
total charge: 0
LUMO: 0.1 eV
HOMO: -9.747 eV
SMILES: O=C=NN(S)C(=O)O.CCOC(C)=O
E: -1118.45275 Eh

Here are the Mulliken charges for atoms 1 to 2, given in e: O -0.366; C 0.777
____________
Excellent communication, writing, and organizational skills
  • Data Science
  • Research